NVIC 01-15 clarifies issues raised to all involved
The United States Coast Guard finalized its NVIC, published earlier this year in draft form, which endeavors to provide a uniform policy interpretation of when a casualty report is and is not required. Vessel owners, operators, and crew managers should review the policy guidance to ensure that their own reporting procedures are in line with USCG interpretations.
New Developments
On July 21, 2015, USCG released Navigation and Vessel Inspection Circular 01-15 (“NVIC 01-15”), titled Marine Casualty Reporting Procedures Guide with Associated Standard Interpretations. The purpose of NVIC 01-15 is to clarify terminology and phrases within the regulatory context, draw attention to helpful regulatory citations, and provide concise policy interpretations to assist vessel owners/operators with the casualty reporting process.
Confusion as to which incidents constitute marine casualties and need to be reported has persisted in the marine industry for years. Unfortunately, little official guidance has been published by Coast Guard Headquarters regarding its policy interpretation of the reporting requirements. This problem has historically been further exacerbated by differing interpretations by various Coast Guard field commands and attendant inconsistent enforcement actions.
To address this problem, on January 14, 2014, the Coast Guard issued a Notice of Availability and Request for Comments (“Notice”) for the draft NVIC, which has now been finalized and published as NVIC 01-15.
According to the Coast Guard, the majority of the comments received from multiple industry segments and organizations made it clear that more detail was needed for specific types of marine casualties that had led to uncertainty in the past as to what needed to be reported (or not). As a result, several new definitions, interpretations, and common casualty scenarios were added to NVIC 01-15.
NVIC 01-15 Analysis
The Coast Guard clearly elucidates its guiding principle when Rear Admiral Paul Thomas states, “[i]f there is any doubt whether an occurrence is a reportable marine casualty, the Coast Guard strongly encourages responsible industry parties to contact the nearest [Officer in Charge of Marine Inspection]…to determine an appropriate response“. NVIC 01-15 at 4.
Enclosure 1 of NVIC 01-15 provides clarification and interpretation on reporting scenarios for marine casualties. NVIC 01-15 notes that although some incidents do not rise to the level of marine casualties, they may still need to be reported to the Coast Guard as “hazardous conditions.” NVIC 01-15, Enclosure 1 at 6. This emphasizes the policy stated by Admiral Thomas that it would be prudent to report all questionable occurrences. The Coast Guard also states that compliance with the regulatory requirement to “immediately…notify” the Coast Guard means that the appropriate Command Center must be notified “as soon as reasonably practicable without delay.” Id. at 7. The Coast Guard clarifies that these requirements apply to all vessels operating within 12 nm of the U.S. coast, all tankers operating within 200 nm of the U.S. coast, and to all U.S. flag vessels no matter where they are operating.
The Coast Guard also issues industry specific interpretations for different types of commercial maritime operations. NVIC 01-15 addresses incidents involving tankers at length. Id. at 17-19. The Coast Guard also issues interpretations and policy statements related to reporting in the contexts of commercial diving, shipyards, and harbor workers. Id. 4-5.
NVIC 01-15 lists a variety of incident and occurrence scenarios and provides interpretations of regulations that have proven to be problematic for years. Specifically, the Coast Guard provides policy and interpretation for groundings, distinguishing between “intended groundings”, “unintended groundings”, and “bump and go groundings.” Id. at 9. NVIC 01-15 also provides for interpretations of key terms such as:
- A loss of main propulsion, primary steering, or any associated component or control system that reduces the maneuverability of the vessel;
- An occurrence materially and adversely affecting the vessel’s seaworthiness or fitness for service or route;
- A loss of life; and
- An injury that requires professional medical treatment (treatment beyond first aid) and, if the person is engaged or employed on board a vessel in commercial service, that renders the individual unit to perform his or her routine duties. Id., pages 10-13.
Conclusion and Recommendations |
With the publication of NVIC 01-15, the Coast Guard has finally set the benchmark in establishing industry-wide marine casualty reporting standards, with the goal of establishing uniformity in such reporting, as well as more consistency in Coast Guard enforcement, in an area which has been problematic for years. In short, the Coast Guard has essentially provided the marine industry with its “playbook” for how it will respond to casualty-related reporting incidents or failures to report. Industry stakeholders should ensure that crew and shoreside personnel are familiar with the Coast Guard’s guidance, and heed the NVIC 01-15 recommendation to contact the Coast Guard whenever in doubt to avoid Coast Guard enforcement action for a failure to report a marine casualty in accordance with the regulations as interpreted by the Coast Guard as outlined in NVIC 01-15. |
== Data records, kept here for reference ==
- - -
A plane-wave DFT calculation with PBE-GGA was carried out for a geometry-optimized SbSeO5 structure.

a b c (Å): 5.259 9.285 9.888
angles (deg): 90.00 90.00 90.00
Element x y z (fractional)
Sb: 0.621 0.340 0.596
Sb: 0.121 0.160 0.404
Sb: 0.879 0.660 0.096
Sb: 0.379 0.840 0.904
Se: 0.895 0.023 0.710
Se: 0.395 0.477 0.290
Se: 0.605 0.977 0.210
Se: 0.105 0.523 0.790
O: 0.317 0.394 0.747
O: 0.221 0.693 0.759
O: 0.834 0.516 0.698
O: 0.955 0.004 0.540
O: 0.416 0.179 0.526
O: 0.916 0.321 0.474
O: 0.455 0.496 0.460
O: 0.334 0.984 0.302
O: 0.721 0.807 0.241
O: 0.817 0.106 0.253
O: 0.183 0.606 0.247
O: 0.279 0.307 0.259
O: 0.666 0.484 0.198
O: 0.545 0.996 0.040
O: 0.084 0.821 0.026
O: 0.584 0.679 0.974
O: 0.045 0.504 0.960
O: 0.166 0.016 0.802
O: 0.779 0.193 0.741
O: 0.683 0.894 0.753

## Properties
Energy of formation   -1300 meV per atom
Calculated volume   17.2 Å³ per atom
Total energy after the MP2020 corrections   -5.92 eV per atom
Space-group type   P2_12_12_1 (19)



A plane-wave DFT calculation with PBE-GGA was carried out for a geometry-optimized ScBiO3 structure.

a b c (Å): 4.076 4.076 4.076
angles (deg): 90.00 90.00 90.00
Element x y z (fractional)
Sc: 0.000 0.000 0.000
Bi: 0.500 0.500 0.500
O: 0.500 0.000 0.000
O: 0.000 0.000 0.500
O: 0.000 0.500 0.000

## Properties
Energy of formation   -2448 meV per atom
Calculated volume   13.5 Å³ per atom
Total energy after the MP2020 corrections   -7.46 eV per atom
Space-group type   Pm-3m (221)



A plane-wave DFT calculation with PBE-GGA was carried out for a geometry-optimized Na14Mg4Ti4Si7S5O48 structure.

a b c (Å): 18.056 9.035 21.994
angles (deg): 90.08 89.59 119.99
Element x y z (fractional)
Na: 0.806 0.986 0.257
Na: 0.182 0.353 0.256
Na: 0.690 0.366 0.255
Na: 0.992 0.637 0.247
Na: 0.498 0.636 0.252
Na: 0.308 0.627 0.744
Na: 0.998 0.357 0.747
Na: 0.495 0.352 0.741
Na: 0.189 0.014 0.750
Na: 0.684 0.012 0.752
Na: 0.150 0.330 0.588
Na: 0.659 0.337 0.577
Na: 0.338 0.990 0.581
Na: 0.838 0.987 0.578
Na: 0.158 0.985 0.083
Na: 0.650 0.969 0.091
Na: 0.338 0.690 0.085
Na: 0.836 0.691 0.084
Na: 0.481 0.673 0.924
Na: 0.973 0.665 0.922
Na: 0.355 0.042 0.915
Na: 0.852 0.036 0.909
Na: 0.167 0.287 0.914
Na: 0.670 0.287 0.909
Na: 0.477 0.287 0.423
Na: 0.973 0.273 0.425
Na: 0.169 0.057 0.409
Na: 0.674 0.039 0.412
Na: 0.354 0.670 0.410
Na: 0.852 0.675 0.417
Na: 0.993 0.991 0.497
Na: 0.504 0.996 0.500
Na: 0.000 0.006 0.003
Na: 0.501 0.008 0.003
Na: 0.326 0.320 0.823
Na: 0.825 0.337 0.829
Na: 0.327 0.315 0.333
Na: 0.824 0.316 0.330
Na: 0.165 0.671 0.172
Na: 0.662 0.658 0.173
Na: 0.161 0.663 0.671
Na: 0.663 0.656 0.665
Mg: 0.000 0.001 0.353
Mg: 0.498 0.993 0.348
Mg: 0.996 0.000 0.847
Mg: 0.507 0.008 0.848
Mg: 0.337 0.331 0.684
Mg: 0.837 0.340 0.186
Mg: 0.334 0.332 0.994
Mg: 0.832 0.339 0.979
Mg: 0.333 0.327 0.479
Mg: 0.831 0.323 0.488
Mg: 0.671 0.682 0.311
Mg: 0.167 0.662 0.809
Ti: 0.992 0.008 0.650
Ti: 0.506 0.033 0.650
Ti: 0.005 0.981 0.151
Ti: 0.492 0.978 0.151
Ti: 0.828 0.327 0.679
Ti: 0.327 0.328 0.179
- - -
Please refer to the full text of USCG NVIC for details:
Source: Blank Rome